== To do ==
Print the material underneath without altering anything.

== File ==
-- begin --
VASP calculation (PBE-GGA) on an optimized crystal structure of TbGe2Ir3.

abc: 16.4098 4.0589 9.8728
angles: 90.00 108.05 90.00
Last column: nearest neighbours and their distance in Å.
Space group C2/m (No. 12)
One atom of each set of equivalent atoms:
1 Tb 0.0000 0.0000 0.0000 x2  6 Ge 3.05-3.16, 6 Ir 3.08-3.11
2 Tb 0.1611 0.0000 0.7036 x4  6 Ge 3.11-3.17, 9 Ir 3.17-3.47
3 Ge 0.0382 0.5000 0.7816 x4  5 Ir 2.43-2.67
4 Ge 0.1379 0.5000 0.4554 x4  7 Ir 2.39-2.64
5 Ge 0.1947 0.0000 0.1281 x4  6 Ir 2.47-2.59
6 Ir 0.0000 0.5000 0.5000 x2  4 Ge 2.44-2.65
7 Ir 0.0407 0.0000 0.3297 x4  4 Ge 2.47-2.64, 1 Ir 2.77
8 Ir 0.1207 0.5000 0.1981 x4  4 Ge 2.47-2.67
9 Ir 0.1790 0.5000 0.9585 x4  4 Ge 2.43-2.59
10 Ir 0.2171 0.0000 0.3918 x4  4 Ge 2.39-2.59

VASP calculation (PBE-GGA) on an optimized crystal structure of Tb3Ge4Ir2.

abc: 10.8458 4.3053 8.2281
angles: 90.00 109.07 90.00
Last column: nearest neighbours and their distance in Å.
Space group C2/m (No. 12)
One atom of each set of equivalent atoms:
1 Tb 0.0000 0.0000 0.0000 x2  6 Ge 3.04-3.09
2 Tb 0.1247 0.5000 0.6978 x4  7 Ge 2.93-3.20, 4 Ir 3.02-3.26
3 Ge 0.0872 0.0000 0.3973 x4  3 Ir 2.47-2.56
4 Ge 0.2086 0.5000 0.0744 x4  1 Ir 2.49, 2 Ge 2.77
5 Ir 0.1888 0.5000 0.3676 x4  4 Ge 2.47-2.56

Output
The value obtained for the energy above the most stable polymorph in this dataset is 0 meV/atom.

VASP calculation (PBE-GGA) on an optimized crystal structure of Tb5GeIr2.

abc: 7.7265 7.7265 13.1656
angles: 90.00 90.00 90.00
Last column: nearest neighbours and their distance in Å.
Space group I4/mcm (No. 140)
One atom of each set of equivalent atoms:
1 Tb 0.0000 0.0000 0.0000 x4  4 Ir 3.00, 2 Ge 3.29
2 Tb 0.1617 0.3383 0.1393 x16  3 Ir 2.86-2.95
3 Ge 0.0000 0.0000 0.2500 x4  10 Tb 3.24-3.29
4 Ir 0.1370 0.3630 0.5000 x8  8 Tb 2.86-3.00, 1 Ir 2.99

Number 1: total magnetic moment 0.000 μB/atom, total DFT energy (no corrections) -7.367 eV per atom. Number 2: total magnetic moment 0.000 μB/atom, total DFT energy (no corrections) -6.401 eV per atom. Number 3: total magnetic moment 0.000 μB/atom, total DFT energy (no corrections) -6.425 eV per atom.

~~~~~

1.
# PBE ZrInP2, relaxed
data_ZrInP2
_chemical_formula_sum 'Zr2 In2 P4'
_symmetry_space_group_name_H-M 'A m m 2'
_symmetry_Int_Tables_number 38
_symmetry_space_group_name_Hall 'A 2 -2'
_cell_length_a 3.868
_cell_length_b 3.606
_cell_length_c 11.534
_cell_angle_alpha 90.00
_cell_angle_beta 90.00
_cell_angle_gamma 90.00
loop_
_atom_site_label
_atom_site_fract_x
_atom_site_fract_y
_atom_site_fract_z
Zr1 0.000 0.000 0.000
In1 0.500 0.000 0.780
P1 0.000 0.000 0.323
P2 0.500 0.000 0.560
# Energy of formation: -2.3 eV per formula unit

2.
# PBE ZrIn2P, relaxed
data_ZrIn2P
_chemical_formula_sum 'Zr1 In2 P1'
_symmetry_space_group_name_H-M 'P 4/m m m'
_symmetry_Int_Tables_number 123
_symmetry_space_group_name_Hall '-P 4 2'
_cell_length_a 3.935
_cell_length_b 3.935
_cell_length_c 5.526
_cell_angle_alpha 90.00
_cell_angle_beta 90.00
_cell_angle_gamma 90.00
loop_
_atom_site_label
_atom_site_fract_x
_atom_site_fract_y
_atom_site_fract_z
Zr1 0.000 0.000 0.000
In1 0.500 0.500 0.252
P1 0.000 0.000 0.500
# Energy of formation: -0.3 eV per formula unit

3.
# PBE Zr4InP, relaxed
data_Zr4InP
_chemical_formula_sum 'Zr16 In4 P4'
_symmetry_space_group_name_H-M 'F -4 3 m'
_symmetry_Int_Tables_number 216
_symmetry_space_group_name_Hall 'F -4 2 3'
_cell_length_a 8.121
_cell_length_b 8.121
_cell_length_c 8.121
_cell_angle_alpha 90.00
_cell_angle_beta 90.00
_cell_angle_gamma 90.00
loop_
_atom_site_label
_atom_site_fract_x
_atom_site_fract_y
_atom_site_fract_z
Zr1 0.124 0.124 0.124
In1 0.250 0.250 0.750
P1 0.000 0.000 0.500
# Energy of formation: 1.7 eV per formula unit

~~~~~

(1)
Here is a relaxed KCaSb3 crystal from the Alexandria database. Energies are from PBE.

Unit cell a=5.835 b=5.835 c=5.835 alpha=90.00 beta=90.00 gamma=90.00
Fractional coordinates of all 5 atoms:
K1 0.000 0.000 0.000
Ca1 0.500 0.500 0.500
Sb1 0.000 0.500 0.500
Sb2 0.500 0.000 0.500
-- stop --

== Done ==
VASP calculation (PBE-GGA) on an optimized crystal structure of TbGe2Ir3.

abc: 16.4098 4.0589 9.8728
angles: 90.00 108.05 90.00
Last column: nearest neighbours and their distance in Å.
Space group C2/m (No. 12)
One atom of each set of equivalent atoms:
1 Tb 0.0000 0.0000 0.0000 x2  6 Ge 3.05-3.16, 6 Ir 3.08-3.11
2 Tb 0.1611 0.0000 0.7036 x4  6 Ge 3.11-3.17, 9 Ir 3.17-3.47
3 Ge 0.0382 0.5000 0.7816 x4  5 Ir 2.43-2.67
4 Ge 0.1379 0.5000 0.4554 x4  7 Ir 2.39-2.64
5 Ge 0.1947 0.0000 0.1281 x4  6 Ir 2.47-2.59
6 Ir 0.0000 0.5000 0.5000 x2  4 Ge 2.44-2.65
7 Ir 0.0407 0.0000 0.3297 x4  4 Ge 2.47-2.64, 1 Ir 2.77
8 Ir 0.1207 0.5000 0.1981 x4  4 Ge 2.47-2.67
9 Ir 0.1790 0.5000 0.9585 x4  4 Ge 2.43-2.59
10 Ir 0.2171 0.0000 0.3918 x4  4 Ge 2.39-2.59

VASP calculation (PBE-GGA) on an optimized crystal structure of Tb3Ge4Ir2.

abc: 10.8458 4.3053 8.2281
angles: 90.00 109.07 90.00
Last column: nearest neighbours and their distance in Å.
Space group C2/m (No. 12)
One atom of each set of equivalent atoms:
1 Tb 0.0000 0.0000 0.0000 x2  6 Ge 3.04-3.09
2 Tb 0.1247 0.5000 0.6978 x4  7 Ge 2.93-3.20, 4 Ir 3.02-3.26
3 Ge 0.0872 0.0000 0.3973 x4  3 Ir 2.47-2.56
4 Ge 0.2086 0.5000 0.0744 x4  1 Ir 2.49, 2 Ge 2.77
5 Ir 0.1888 0.5000 0.3676 x4  4 Ge 2.47-2.56

Output
The value obtained for the energy above the most stable polymorph in this dataset is 0 meV/atom.

VASP calculation (PBE-GGA) on an optimized crystal structure of Tb5GeIr2.

abc: 7.7265 7.7265 13.1656
angles: 90.00 90.00 90.00
Last column: nearest neighbours and their distance in Å.
Space group I4/mcm (No. 140)
One atom of each set of equivalent atoms:
1 Tb 0.0000 0.0000 0.0000 x4  4 Ir 3.00, 2 Ge 3.29
2 Tb 0.1617 0.3383 0.1393 x16  3 Ir 2.86-2.95
3 Ge 0.0000 0.0000 0.2500 x4  10 Tb 3.24-3.29
4 Ir 0.1370 0.3630 0.5000 x8  8 Tb 2.86-3.00, 1 Ir 2.99

Number 1: total magnetic moment 0.000 μB/atom, total DFT energy (no corrections) -7.367 eV per atom. Number 2: total magnetic moment 0.000 μB/atom, total DFT energy (no corrections) -6.401 eV per atom. Number 3: total magnetic moment 0.000 μB/atom, total DFT energy (no corrections) -6.425 eV per atom.

~~~~~

1.
# PBE ZrInP2, relaxed
data_ZrInP2
_chemical_formula_sum 'Zr2 In2 P4'
_symmetry_space_group_name_H-M 'A m m 2'
_symmetry_Int_Tables_number 38
_symmetry_space_group_name_Hall 'A 2 -2'
_cell_length_a 3.868
_cell_length_b 3.606
_cell_length_c 11.534
_cell_angle_alpha 90.00
_cell_angle_beta 90.00
_cell_angle_gamma 90.00
loop_
_atom_site_label
_atom_site_fract_x
_atom_site_fract_y
_atom_site_fract_z
Zr1 0.000 0.000 0.000
In1 0.500 0.000 0.780
P1 0.000 0.000 0.323
P2 0.500 0.000 0.560
# Energy of formation: -2.3 eV per formula unit

2.
# PBE ZrIn2P, relaxed
data_ZrIn2P
_chemical_formula_sum 'Zr1 In2 P1'
_symmetry_space_group_name_H-M 'P 4/m m m'
_symmetry_Int_Tables_number 123
_symmetry_space_group_name_Hall '-P 4 2'
_cell_length_a 3.935
_cell_length_b 3.935
_cell_length_c 5.526
_cell_angle_alpha 90.00
_cell_angle_beta 90.00
_cell_angle_gamma 90.00
loop_
_atom_site_label
_atom_site_fract_x
_atom_site_fract_y
_atom_site_fract_z
Zr1 0.000 0.000 0.000
In1 0.500 0.500 0.252
P1 0.000 0.000 0.500
# Energy of formation: -0.3 eV per formula unit

3.
# PBE Zr4InP, relaxed
data_Zr4InP
_chemical_formula_sum 'Zr16 In4 P4'
_symmetry_space_group_name_H-M 'F -4 3 m'
_symmetry_Int_Tables_number 216
_symmetry_space_group_name_Hall 'F -4 2 3'
_cell_length_a 8.121
_cell_length_b 8.121
_cell_length_c 8.121
_cell_angle_alpha 90.00
_cell_angle_beta 90.00
_cell_angle_gamma 90.00
loop_
_atom_site_label
_atom_site_fract_x
_atom_site_fract_y
_atom_site_fract_z
Zr1 0.124 0.124 0.124
In1 0.250 0.250 0.750
P1 0.000 0.000 0.500
# Energy of formation: 1.7 eV per formula unit

~~~~~

(1)
Here is a relaxed KCaSb3 crystal from the Alexandria database. Energies are from PBE.

Unit cell a=5.835 b=5.835 c=5.835 alpha=90.00 beta=90.00 gamma=90.00
Fractional coordinates of all 5 atoms:
K1 0.000 0.000 0.000
Ca1 0.500 0.500 0.500
Sb1 0.000 0.500 0.500
Sb2 0.500 0.000 0.500